_Entries_
~~~
This entry pairs a crystal structure of PmDyO3 with its computed XRD peak list. Radiation: copper Kα. Structure: a cell relaxed with PBE.
Intensities are scaled so that the largest is 100.

Crystal structure
```
10
Lattice="1.778 -7.140 0.000 1.778 7.140 0.000 0.000 0.000 5.837" Properties=species:S:1:pos:R:3 pbc="T T T"
Pm 1.778 4.546 2.918
Pm 1.778 -4.546 0.000
Dy 1.778 0.632 3.249
Dy 1.778 -0.632 0.330
O 1.778 6.760 1.998
O 1.778 2.635 4.245
O 1.778 1.750 1.293
O 1.778 -1.750 4.211
O 1.778 -2.635 1.327
O 1.778 -6.760 4.916
```

Top 12 peaks for 10° ≤ 2θ ≤ 80°, in order of falling intensity:
d_spacing  I (rel.)
3.045  100
2.971  78
2.039  59
1.694  56
2.849  47
2.918  37
1.536  27
2.228  24
1.708  20
1.778  17
3.451  17
1.232  13

=====

This entry pairs a crystal structure of DySc5Bi4 with its computed XRD peak list. Radiation: copper Kα. Structure: a cell relaxed with PBE.
Intensities are scaled so that the largest is 100.

Crystal structure
```
10
Lattice="4.989 -5.083 0.000 4.989 5.083 0.000 0.000 0.000 5.738" Properties=species:S:1:pos:R:3 pbc="T T T"
Dy 0.000 0.000 0.000
Sc 2.495 2.542 1.432
Sc 2.495 2.542 4.305
Sc 2.495 -2.542 1.432
Sc 2.495 -2.542 4.305
Sc 4.989 0.000 2.869
Bi 1.834 0.000 2.869
Bi 4.989 1.751 0.000
Bi 4.989 -1.751 0.000
Bi 8.144 0.000 2.869
```

Top 12 peaks for 10° ≤ 2θ ≤ 80°, in order of falling intensity:
d_spacing  I (rel.)
3.765  100
2.193  76
3.209  50
3.805  44
2.139  33
2.497  33
2.801  30
2.869  28
2.769  23
1.489  23
3.161  22
2.234  18


No. 1
Simulated powder XRD pattern
Compound: Si23Ir4
Radiation: λ = 1.5418 Å (Cu Kα)
Structure: the PBE geometry in Alexandria
Intensities are scaled so that the largest is 100.

Cell and atoms:
```
Si23Ir4
1.0
10.0023 0.0000 0.0000
0.0000 10.0023 0.0000
0.0000 0.0000 10.0023
Si Ir
46 8
Direct
0.0000 0.1144 0.3158
0.0000 0.1144 0.6842
0.0000 0.2500 0.5000
0.0000 0.7500 0.5000
0.0000 0.8856 0.3158
0.0000 0.8856 0.6842
0.1144 0.3158 0.0000
0.1144 0.6842 0.0000
0.1790 0.1790 0.1790
0.1790 0.1790 0.8210
0.1790 0.8210 0.1790
0.1790 0.8210 0.8210
0.1842 0.3856 0.5000
0.1842 0.6144 0.5000
0.2500 0.5000 0.0000
0.3158 0.0000 0.1144
0.3158 0.0000 0.8856
0.3210 0.3210 0.3210
0.3210 0.3210 0.6790
0.3210 0.6790 0.3210
0.3210 0.6790 0.6790
0.3856 0.5000 0.1842
0.3856 0.5000 0.8158
0.5000 0.0000 0.2500
0.5000 0.0000 0.7500
0.5000 0.1842 0.3856
0.5000 0.1842 0.6144
0.5000 0.8158 0.3856
0.5000 0.8158 0.6144
0.6144 0.5000 0.1842
0.6144 0.5000 0.8158
0.6790 0.3210 0.3210
0.6790 0.3210 0.6790
0.6790 0.6790 0.3210
0.6790 0.6790 0.6790
0.6842 0.0000 0.1144
0.6842 0.0000 0.8856
0.7500 0.5000 0.0000
0.8158 0.3856 0.5000
0.8158 0.6144 0.5000
0.8210 0.1790 0.1790
0.8210 0.1790 0.8210
0.8210 0.8210 0.1790
0.8210 0.8210 0.8210
0.8856 0.3158 0.0000
0.8856 0.6842 0.0000
0.0000 0.0000 0.0000
0.0000 0.5000 0.2500
0.0000 0.5000 0.7500
0.2500 0.0000 0.5000
0.5000 0.2500 0.0000
0.5000 0.5000 0.5000
0.5000 0.7500 0.0000
0.7500 0.0000 0.5000
```

Principal peaks in the range 2θ from 15° to 90°, by intensity:
33.52°, intensity 100, hkl 3 2 1
19.85°, intensity 48, hkl 2 1 0
32.27°, intensity 45, hkl 3 2 0
21.76°, intensity 41, hkl 2 1 1
56.73°, intensity 35, hkl 5 3 2
35.91°, intensity 24, hkl 4 0 0
30.97°, intensity 24, hkl 2 2 2
17.73°, intensity 21, hkl 2 0 0

***

No. 2
Simulated powder XRD pattern
Compound: Si4Ir3
Radiation: λ = 1.5418 Å (Cu Kα)
Structure: the PBE geometry in Alexandria
Intensities are scaled so that the largest is 100.

Cell and atoms:
```
Si4Ir3
1.0
19.0139 0.0000 0.0000
0.0000 3.7348 0.0000
0.0000 0.0000 5.8324
Si Ir
16 12
Direct
0.0498 0.2500 0.0272
0.0909 0.2500 0.5744
0.1439 0.7500 0.1109
0.2302 0.2500 0.2849
0.2698 0.7500 0.7849
0.3561 0.2500 0.6109
0.4091 0.7500 0.0744
0.4502 0.7500 0.5272
0.5498 0.2500 0.4728
0.5909 0.2500 0.9256
0.6439 0.7500 0.3891
0.7302 0.2500 0.2151
0.7698 0.7500 0.7151
0.8561 0.2500 0.8891
0.9091 0.7500 0.4256
0.9502 0.7500 0.9728
0.0313 0.7500 0.3047
0.1739 0.2500 0.8920
0.1761 0.7500 0.4998
0.3239 0.2500 0.9998
0.3261 0.7500 0.3920
~~~

_Activity_
Print everything further above with every line break kept, please.

_Completed_
This entry pairs a crystal structure of PmDyO3 with its computed XRD peak list. Radiation: copper Kα. Structure: a cell relaxed with PBE.
Intensities are scaled so that the largest is 100.

Crystal structure
```
10
Lattice="1.778 -7.140 0.000 1.778 7.140 0.000 0.000 0.000 5.837" Properties=species:S:1:pos:R:3 pbc="T T T"
Pm 1.778 4.546 2.918
Pm 1.778 -4.546 0.000
Dy 1.778 0.632 3.249
Dy 1.778 -0.632 0.330
O 1.778 6.760 1.998
O 1.778 2.635 4.245
O 1.778 1.750 1.293
O 1.778 -1.750 4.211
O 1.778 -2.635 1.327
O 1.778 -6.760 4.916
```

Top 12 peaks for 10° ≤ 2θ ≤ 80°, in order of falling intensity:
d_spacing  I (rel.)
3.045  100
2.971  78
2.039  59
1.694  56
2.849  47
2.918  37
1.536  27
2.228  24
1.708  20
1.778  17
3.451  17
1.232  13

=====

This entry pairs a crystal structure of DySc5Bi4 with its computed XRD peak list. Radiation: copper Kα. Structure: a cell relaxed with PBE.
Intensities are scaled so that the largest is 100.

Crystal structure
```
10
Lattice="4.989 -5.083 0.000 4.989 5.083 0.000 0.000 0.000 5.738" Properties=species:S:1:pos:R:3 pbc="T T T"
Dy 0.000 0.000 0.000
Sc 2.495 2.542 1.432
Sc 2.495 2.542 4.305
Sc 2.495 -2.542 1.432
Sc 2.495 -2.542 4.305
Sc 4.989 0.000 2.869
Bi 1.834 0.000 2.869
Bi 4.989 1.751 0.000
Bi 4.989 -1.751 0.000
Bi 8.144 0.000 2.869
```

Top 12 peaks for 10° ≤ 2θ ≤ 80°, in order of falling intensity:
d_spacing  I (rel.)
3.765  100
2.193  76
3.209  50
3.805  44
2.139  33
2.497  33
2.801  30
2.869  28
2.769  23
1.489  23
3.161  22
2.234  18


No. 1
Simulated powder XRD pattern
Compound: Si23Ir4
Radiation: λ = 1.5418 Å (Cu Kα)
Structure: the PBE geometry in Alexandria
Intensities are scaled so that the largest is 100.

Cell and atoms:
```
Si23Ir4
1.0
10.0023 0.0000 0.0000
0.0000 10.0023 0.0000
0.0000 0.0000 10.0023
Si Ir
46 8
Direct
0.0000 0.1144 0.3158
0.0000 0.1144 0.6842
0.0000 0.2500 0.5000
0.0000 0.7500 0.5000
0.0000 0.8856 0.3158
0.0000 0.8856 0.6842
0.1144 0.3158 0.0000
0.1144 0.6842 0.0000
0.1790 0.1790 0.1790
0.1790 0.1790 0.8210
0.1790 0.8210 0.1790
0.1790 0.8210 0.8210
0.1842 0.3856 0.5000
0.1842 0.6144 0.5000
0.2500 0.5000 0.0000
0.3158 0.0000 0.1144
0.3158 0.0000 0.8856
0.3210 0.3210 0.3210
0.3210 0.3210 0.6790
0.3210 0.6790 0.3210
0.3210 0.6790 0.6790
0.3856 0.5000 0.1842
0.3856 0.5000 0.8158
0.5000 0.0000 0.2500
0.5000 0.0000 0.7500
0.5000 0.1842 0.3856
0.5000 0.1842 0.6144
0.5000 0.8158 0.3856
0.5000 0.8158 0.6144
0.6144 0.5000 0.1842
0.6144 0.5000 0.8158
0.6790 0.3210 0.3210
0.6790 0.3210 0.6790
0.6790 0.6790 0.3210
0.6790 0.6790 0.6790
0.6842 0.0000 0.1144
0.6842 0.0000 0.8856
0.7500 0.5000 0.0000
0.8158 0.3856 0.5000
0.8158 0.6144 0.5000
0.8210 0.1790 0.1790
0.8210 0.1790 0.8210
0.8210 0.8210 0.1790
0.8210 0.8210 0.8210
0.8856 0.3158 0.0000
0.8856 0.6842 0.0000
0.0000 0.0000 0.0000
0.0000 0.5000 0.2500
0.0000 0.5000 0.7500
0.2500 0.0000 0.5000
0.5000 0.2500 0.0000
0.5000 0.5000 0.5000
0.5000 0.7500 0.0000
0.7500 0.0000 0.5000
```

Principal peaks in the range 2θ from 15° to 90°, by intensity:
33.52°, intensity 100, hkl 3 2 1
19.85°, intensity 48, hkl 2 1 0
32.27°, intensity 45, hkl 3 2 0
21.76°, intensity 41, hkl 2 1 1
56.73°, intensity 35, hkl 5 3 2
35.91°, intensity 24, hkl 4 0 0
30.97°, intensity 24, hkl 2 2 2
17.73°, intensity 21, hkl 2 0 0

***

No. 2
Simulated powder XRD pattern
Compound: Si4Ir3
Radiation: λ = 1.5418 Å (Cu Kα)
Structure: the PBE geometry in Alexandria
Intensities are scaled so that the largest is 100.

Cell and atoms:
```
Si4Ir3
1.0
19.0139 0.0000 0.0000
0.0000 3.7348 0.0000
0.0000 0.0000 5.8324
Si Ir
16 12
Direct
0.0498 0.2500 0.0272
0.0909 0.2500 0.5744
0.1439 0.7500 0.1109
0.2302 0.2500 0.2849
0.2698 0.7500 0.7849
0.3561 0.2500 0.6109
0.4091 0.7500 0.0744
0.4502 0.7500 0.5272
0.5498 0.2500 0.4728
0.5909 0.2500 0.9256
0.6439 0.7500 0.3891
0.7302 0.2500 0.2151
0.7698 0.7500 0.7151
0.8561 0.2500 0.8891
0.9091 0.7500 0.4256
0.9502 0.7500 0.9728
0.0313 0.7500 0.3047
0.1739 0.2500 0.8920
0.1761 0.7500 0.4998
0.3239 0.2500 0.9998
0.3261 0.7500 0.3920